* Posts by Phil 54

118 publicly visible posts • joined 20 Jun 2009


Full-body scanner blind to bomb parts

Phil 54

I beg to differ...

You can light a strip of magnesium with a standard bic lighter, and if the magnsesium is in powder or granular form, with a match. I speak from experience (non-terrorist related). Magnesium is sometimes used in backpacking survival kits because you can use it to light a fire in even the worst conditions.

In-depth probe fails to hit the G-spot

Phil 54

I knew it!

although I did once date a squirter... am i allowed to say that?

Redkneck Vampire Attacks Trailer Park

Phil 54

My favourite headline:

"Lady Gives Birth to Six-foot Green Martian Baby"

I was looking for the Weekly World News on a recent trip to Canada; now I know why I couldn't find it.

High-speed Chinese train kicks French, Japanese butt

Phil 54

also with cheap chinese labour

We did the same thing in Canada

IBM's cat-brain sim a 'scam,' says Swiss boffin

Phil 54


10 Meow

20 Eat

30 Scratch furniture

40 goto 10

Religious discrimination law may open door for decent deviants

Phil 54

Trudeau said it best

“The state has no business in the bedrooms of the nation.”

Pierre Elliot Trudeau

MS plasters Ballmer's signature on Windows 7 special edition

Phil 54

No balloons in France

I got my Windows 7 party box yesterday, but NO BALLOONS!!!!!!

Just to be clear, I don't (and never had) have any intentions of actually hosting a Windows 7 party. I will probably get pissed with some friends on the date that I specified, but there's a 5/7 chance of that anyways!!!!

Interesting sidenote: According to the courier, there are about thirty people that are "hosting" Windows 7 parties here in Nantes. Nantes has a population of about 300000. Therefore, Microsoft must be giving away almost 7 million free copies of Windows 7 worldwide!!!!

How to host your very own Windows 7 launch party

Phil 54

we're taking the piss

Richard, you don't seem to understand that nobody here intends to host a real Windows 7 party. It's called "taking the piss".

By the way, I just got an email from DHL and my free copy of Windows 7 just left Cincinnati.

Phil 54

You're all invited

I filled out the form, and got picked to host a Windows 7 party here in France.

You're all invited.

Next to the piece, the page also holds crystal structures:
********
## P
A geometry-optimized La2PmLu structure, computed with GGA-PBE.

Summary:
**Volume**: 34.80 Å³/atom
**DOS(E_F)**: 7.9 states/eV/cell

Lattice parameters (Å, degrees): 5.818 5.818 5.818 60.00 60.00 60.00
Atoms (fractional coordinates):
La: 0.250 0.250 0.250
La: 0.750 0.750 0.750
Pm: 0.000 0.000 0.000
Lu: 0.500 0.500 0.500

## Q
A geometry-optimized La2PmLu structure, computed with GGA-PBE.

Summary:
**Volume**: 34.44 Å³/atom
**DOS(E_F)**: 6.9 states/eV/cell

Lattice parameters (Å, degrees): 3.713 3.713 9.994 90.00 90.00 90.00
Atoms (fractional coordinates):
La: 0.000 0.000 0.243
La: 0.000 0.000 0.757
Pm: 0.500 0.500 0.500
Lu: 0.500 0.500 0.000

In terms of stability, Q leads; the second structure lies 6.7 kJ/mol of atoms higher.

## P
A geometry-optimized LaPrLu2 structure, computed with GGA-PBE.

Summary:
**Volume**: 33.26 Å³/atom
**DOS(E_F)**: 6.4 states/eV/cell

Lattice parameters (Å, degrees): 5.730 5.730 5.730 60.00 60.00 60.00
Atoms (fractional coordinates):
La: 0.000 0.000 0.000
Pr: 0.500 0.500 0.500
Lu: 0.250 0.250 0.250
Lu: 0.750 0.750 0.750

## Q
A geometry-optimized LaPrLu2 structure, computed with GGA-PBE.

Summary:
**Volume**: 32.86 Å³/atom
**DOS(E_F)**: 6.0 states/eV/cell

Lattice parameters (Å, degrees): 5.218 5.218 4.828 90.00 90.00 90.00
Atoms (fractional coordinates):
La: 0.000 0.000 0.000
Pr: 0.500 0.500 0.000
Lu: 0.000 0.500 0.500
Lu: 0.500 0.000 0.500

In terms of stability, Q leads; the second structure lies 3.8 kJ/mol of atoms higher.

## P
A geometry-optimized La2PrLu structure, computed with GGA-PBE.

Summary:
**Volume**: 34.51 Å³/atom
**DOS(E_F)**: 5.0 states/eV/cell

Lattice parameters (Å, degrees): 5.178 5.178 5.148 90.00 90.00 90.00
Atoms (fractional coordinates):
La: 0.000 0.500 0.000
La: 0.500 0.000 0.000
Pr: 0.000 0.000 0.500
Lu: 0.500 0.500 0.500

## Q
A geometry-optimized La2PrLu structure, computed with GGA-PBE.

Summary:
**Volume**: 34.87 Å³/atom
**DOS(E_F)**: 7.1 states/eV/cell

Lattice parameters (Å, degrees): 3.714 3.714 10.111 90.00 90.00 90.00
Atoms (fractional coordinates):
La: 0.000 0.000 0.241
La: 0.000 0.000 0.759
Pr: 0.500 0.500 0.500
Lu: 0.500 0.500 0.000

In terms of stability, P leads; the second structure lies 1.5 kJ/mol of atoms higher.

## P
A geometry-optimized LaLuPt structure, computed with GGA-PBE.

Summary:
**Volume**: 28.61 Å³/atom
**DOS(E_F)**: 2.1 states/eV/cell

Lattice parameters (Å, degrees): 4.951 4.951 4.951 60.00 60.00 60.00
Atoms (fractional coordinates):
La: 0.000 0.000 0.000
Lu: 0.500 0.500 0.500
Pt: 0.250 0.250 0.250

## Q
A geometry-optimized LaLuPt structure, computed with GGA-PBE.

Summary:
**Volume**: 27.90 Å³/atom
**DOS(E_F)**: 2.9 states/eV/cell

Lattice parameters (Å, degrees): 4.608 4.608 4.553 90.00 90.00 120.00
Atoms (fractional coordinates):
La: 0.000 0.000 0.000
Lu: 0.667 0.333 0.502
Pt: 0.333 0.667 0.354

In terms of stability, P leads; the second structure lies 8.6 kJ/mol of atoms higher.

## P
A geometry-optimized LaLuPu structure, computed with GGA-PBE.
********
End of the crystal structures:

I have to admit, I was picturing more of a 'this is ridiculous, let's get pissed" bash, but maybe I'll take Microsoft's advice and HAVE A CRAP PARTY!!!

'''
# 1
VASP calculation (PBE) on a relaxed Cs2CdS crystal.

Cell and atoms, written as CIF:
```
data_Cs2CdS
_chemical_formula_sum 'Cs8 Cd4 S4'
_cell_length_a 8.6022
_cell_length_b 8.6022
_cell_length_c 8.6022
_cell_angle_alpha 90.00
_cell_angle_beta 90.00
_cell_angle_gamma 90.00
_space_group_name_H-M_alt 'F m -3 m'
_space_group_IT_number 225
_space_group_name_Hall '-F 4 2 3'
loop_
_atom_site_label
_atom_site_type_symbol
_atom_site_fract_x
_atom_site_fract_y
_atom_site_fract_z
Cs1 Cs 0.2500 0.2500 0.2500
Cd1 Cd 0.0000 0.0000 0.0000
S1 S 0.0000 0.0000 0.5000
```

Values from the calculation:
**Formation energy from raw total energies**: -0.535 eV/atom
**Size of the total moment**: 0.00 μB/f.u.
**E above lowest polymorph**: 0 meV/atom
**E**: -35.56 eV/cell


# 2
VASP calculation (PBE) on a relaxed Cs5Cd2S5 crystal.

Cell and atoms, written as CIF:
```
data_Cs5Cd2S5
_chemical_formula_sum 'Cs10 Cd4 S10'
_cell_length_a 16.5675
_cell_length_b 4.3218
_cell_length_c 12.1196
_cell_angle_alpha 90.00
_cell_angle_beta 100.19
_cell_angle_gamma 90.00
_space_group_name_H-M_alt 'C 1 2/m 1'
_space_group_IT_number 12
_space_group_name_Hall '-C 2y'
loop_
_atom_site_label
_atom_site_type_symbol
_atom_site_fract_x
_atom_site_fract_y
_atom_site_fract_z
Cs1 Cs 0.0000 0.0000 0.0000
Cs2 Cs 0.1501 0.0000 0.5806
Cs3 Cs 0.2178 0.5000 0.1295
Cd1 Cd 0.0283 0.5000 0.2951
S1 S 0.0000 0.5000 0.5000
S2 S 0.1110 0.5000 0.8401
S3 S 0.1170 0.0000 0.2802
```

Values from the calculation:
**Formation energy from raw total energies**: -0.840 eV/atom
**Size of the total moment**: 1.10 μB/f.u.
**E**: -73.63 eV/cell


# 3
VASP calculation (PBE) on a relaxed Cs12Cd3S5 crystal.

Cell and atoms, written as CIF:
```
data_Cs12Cd3S5
_chemical_formula_sum 'Cs96 Cd24 S40'
_cell_length_a 21.6642
_cell_length_b 21.6642
_cell_length_c 21.6642
_cell_angle_alpha 90.00
_cell_angle_beta 90.00
_cell_angle_gamma 90.00
_space_group_name_H-M_alt 'I a -3 d'
_space_group_IT_number 230
_space_group_name_Hall '-I 4bd 2c 3'
loop_
_atom_site_label
_atom_site_type_symbol
_atom_site_fract_x
_atom_site_fract_y
_atom_site_fract_z
Cs1 Cs 0.0365 0.0562 0.6429
Cd1 Cd 0.0000 0.2500 0.1250
S1 S 0.0000 0.0000 0.0000
S2 S 0.0000 0.2500 0.3750
```

Values from the calculation:
**Formation energy from raw total energies**: -0.563 eV/atom
**Size of the total moment**: 1.40 μB/f.u.
**E**: -359.09 eV/cell


# 4
VASP calculation (PBE) on a relaxed Cs5CdS crystal.

Cell and atoms, written as CIF:
```
data_Cs5CdS
_chemical_formula_sum 'Cs20 Cd4 S4'
_cell_length_a 16.0794
_cell_length_b 11.1773
_cell_length_c 13.3043
_cell_angle_alpha 90.00
_cell_angle_beta 113.49
_cell_angle_gamma 90.00
_space_group_name_H-M_alt 'C 1 2/c 1'
_space_group_IT_number 15
_space_group_name_Hall '-C 2yc'
loop_
_atom_site_label
_atom_site_type_symbol
_atom_site_fract_x
_atom_site_fract_y
_atom_site_fract_z
Cs1 Cs 0.0000 0.0757 0.2500
Cs2 Cs 0.0520 0.2891 0.9805
Cs3 Cs 0.2195 0.0722 0.6246
Cd1 Cd 0.0000 0.4417 0.2500
S1 S 0.0000 0.0000 0.0000
```
'''

Seriously, I did actually get picked, I'll update here (if they don't close the comments) to detail all the fun party favours Bill's sending me.

Orange gets UK iPhone deal

Phil 54

poor bastards

I pity the fool who signs up with Orange, at least if Orange UK is as crap as Orange here in France

Apple Store pillaged in 31 seconds

Phil 54
Thumb Up


Apple is clearly using the Tommy Hilfiger school of marketing: make it easy to steal so that the inner-city steals and uses it, which makes it cool, which makes the suburbs pay more to have it.

It turned a mediocre polo-like clothing company into must-have hiphop gear!

US music publishers sue online lyrics sites

Phil 54

@ Glen 9

I think it would be rather more than a "small" fortune!

-checking pockets for spare change

Government rubbishes ID card hack report

Phil 54

@ AC 12:44

Nobody even checked BEFORE chip & pin...

me:going to the offie;

flatmate: pick me up a pack of cigarettes, here's my card;

clerk(after I pay with two different cards, signing two different names): Thank you, come again

Pocket Universe 1.7

Phil 54


Betelgeuse is spelled incorrectly on the screen shot

Vulture Central plans Brit-Yank dictionary

Phil 54

@ Jimmy Floyd and @Steve Dulieu

Thanks to www.future-perfect.co.uk


This is the verb ‘to license’.


* I license this pub.

* You are licensed to run this pub.

* The officer licenses the taxis here.


This is the noun ‘a licence’.


* I have a driving licence.

* She wants to buy a licence for her car.

And Steve? "Gurkin" is spelled gherkin

Unfortunately, living in France is slowly destroying my native language: jogging = the clothes you wear while running, footing(???!): a form of running or trotting.

Scientists print out super-slim battery

Phil 54

@ Stu

I make it about 6.5 siriometers, which make the size more impressive than the battery itself

L'Oreal appeals eBay ruling

Crystal structures, as found in the file.
/*
Record 1
This record from Alexandria describes a relaxed La2MnP3Pt4 crystal. The functional is PBE.

Computed properties:
E_form   -0.925 eV/atom
Volume   18.35 Å³ per atom

extended XYZ file:
```
10
Lattice="4.270 0.000 0.000 0.000 4.270 0.000 0.000 0.000 10.064" Properties=species:S:1:pos:R:3 pbc="T T T"
La 0.000 2.135 2.470
La 2.135 0.000 7.594
Mn 0.000 0.000 5.032
P 0.000 2.135 8.734
P 2.135 0.000 1.330
P 2.135 2.135 5.032
Pt 0.000 0.000 0.000
Pt 0.000 2.135 6.360
Pt 2.135 0.000 3.704
Pt 2.135 2.135 0.000
```

Record 2
This record from Alexandria describes a relaxed RbLaMn2P crystal. The functional is PBE.

Computed properties:
E_form   0.884 eV/atom
Volume   38.03 Å³ per atom

extended XYZ file:
```
5
Lattice="5.843 0.000 0.000 0.000 5.843 0.000 0.000 0.000 5.570" Properties=species:S:1:pos:R:3 pbc="T T T"
Rb 0.000 0.000 0.000
La 2.921 2.921 2.785
Mn 0.000 2.921 2.785
Mn 2.921 0.000 2.785
P 2.921 2.921 0.000
```

Record 3
This record from Alexandria describes a relaxed LaMnP2Rh crystal. The functional is PBE.

Computed properties:
E_form   -1.010 eV/atom
Volume   17.09 Å³ per atom

extended XYZ file:
```
5
Lattice="-1.980 1.980 5.446 1.980 -1.980 5.446 1.980 1.980 -5.446" Properties=species:S:1:pos:R:3 pbc="T T T"
La 0.000 0.000 0.000
Mn 0.000 1.980 2.723
P 0.000 0.000 3.892
P 0.000 0.000 7.001
Rh 1.980 0.000 2.723
```

Record 4
This record from Alexandria describes a relaxed LaMnP2Ru crystal. The functional is PBE.

Computed properties:
E_form   -0.962 eV/atom
Volume   16.96 Å³ per atom

extended XYZ file:
```
5
Lattice="-2.008 2.008 5.258 2.008 -2.008 5.258 2.008 2.008 -5.258" Properties=species:S:1:pos:R:3 pbc="T T T"
La 0.000 0.000 0.000
Mn 0.000 2.008 2.629
P 0.000 0.000 3.728
P 0.000 0.000 6.788
Ru 2.008 0.000 2.629
```

Record 5
This record from Alexandria describes a relaxed LaMnPS2 crystal. The functional is PBE.

Computed properties:
Energy above the most stable polymorph in this dataset   0 meV/atom
Uncorrected formation energy   -0.915 eV/atom
Volume   19.76 Å³ per atom

extended XYZ file:
```
5
Lattice="4.649 0.000 0.000 0.000 4.649 0.000 0.000 0.000 4.572" Properties=species:S:1:pos:R:3 pbc="T T T"
La 0.000 0.000 0.000
Mn 2.325 2.325 2.286
P 2.325 2.325 0.000
S 0.000 2.325 2.286
S 2.325 0.000 2.286
```

Record 6
This record from Alexandria describes a relaxed LaMnPS2 crystal. The functional is PBE.

Computed properties:
Energy above the most stable polymorph in this dataset   1268 meV/atom
Uncorrected formation energy   0.353 eV/atom
Volume   33.16 Å³ per atom

extended XYZ file:
```
5
Lattice="5.432 0.000 0.000 0.000 5.432 0.000 0.000 0.000 5.620" Properties=species:S:1:pos:R:3 pbc="T T T"
La 0.000 0.000 0.000
Mn 2.716 2.716 2.810
P 0.000 0.000 2.810
S 0.000 2.716 0.000
S 2.716 0.000 0.000
```

~~~~~

# 1
LaTb3Au2: optimized geometry, PBE.

Cell: 5.0282 9.1085 7.2507 Å, 90.00 90.00 90.00°
Last column: nearest neighbours and their distance in Å.
Positions (direct):
La: 0.0000 0.0752 0.0000  3 Au 3.07-3.22
*/

Phil 54

coke and cigarettes

Ah, I remember my daily trip to the shop to buy cigarettes from Ghana and Coke from Serbia

Pint because at least the beer was british

Spanish bar invites customer abuse

Phil 54


My favorite is my colombian friends calling each other gonorrhea, as in

"eh! gonorrhea! dame una puta cerveza, huevon!!"

because it burns(so I hear)
